Have a merry not a nightmare Christmas!
I briefly touched on this topic recently after posting a meme relating to the universal saying “I’ll start again in January!”
According to studies an average person can put on 0.5 -1kg of weight over Christmas which can then stay on over the coming year.
Today’s blog will aim to give you some pointers to consider over the Christmas period.
1) Make an effort to understand the Nutrional value of the food you’re consuming
A study from 2 top british Universities showed that amongst various other tactics, being given information on how much exercise is needed to burn off the calories from Christmas food, can actually help with reducing weight gain. I have attached below a picture that was used to provide participants with the information.
2) Christmas break doesn’t include all days in December
When we think about it, Christmas day only lasts for….1 day! I take on board there is Christmas eve and boxing day either side, however our body doesn’t give us a few days break from this.
I freely admit that I have over indulged on numerous occasions with the mindset “its ok its Christmas” however this has only led to overeating from 24th December – 1st January causing gain and negative feelings of in January.
3) Re assess your goals for December
Being realistic with what you can achieve over December is also key to staying motivated. If you have a busy social calender and fear your usual routine will be all over the place, then create a temporary goal over December.
For example weight maintenance rather than a loss.
Having an achievable goal over December can potentially help you to limit the chances of failure or feelings of guilt which can lead to the “throwing the towel in” syndrome.
4) Don’t use the Christmas period as an excuse to let your mindset go
We all make mistakes its only human, however don’t beat yourself about it. If you intended to only have 2 pints at the work’s party but ended up having 5 then pick yourself up next day and start again.
Feeling sorry for yourself will only lead to negative vibes and more feelings.
Think of how hard you have worked throughout the year to achieve your goals. Of course you have the right to enjoy yourself at Christmas but why risk damaging your progress and increasing your workload in January?
5) Adapt your training schedule to limit pre and post Christmas damage
If you’re adamant of going on a Man vs Food style journey then there’s not much I can do about that! But on a serious note, adapting your training schedule and style can limit your damage.
Increasing your daily calorific expenditure through exercise will create a larger calorie consumption requirement for that day.
6) Try to maintain regular eating patterns and eat before heading out
Inserted here: data records
<<<
# Ti5O8
Theoretical XRD peak list, a wavelength of 1.5418 Å. Input: DFT lattice parameters and positions (GGA-PBE).
Neutral-atom scattering factors, no anomalous dispersion.

```
data_Ti5O8
_chemical_formula_sum 'Ti15 O24'
_cell_length_a 5.524
_cell_length_b 9.075
_cell_length_c 9.083
_cell_angle_alpha 68.12
_cell_angle_beta 84.79
_cell_angle_gamma 84.73
_space_group_name_H-M_alt 'P 1'
_space_group_IT_number 1
_space_group_name_Hall 'P 1'
loop_
_atom_site_label
_atom_site_type_symbol
_atom_site_fract_x
_atom_site_fract_y
_atom_site_fract_z
_atom_site_occupancy
Ti1 Ti 0.000 0.000 0.000 1
Ti2 Ti 0.000 0.250 0.253 1
Ti3 Ti 0.001 0.751 0.750 1
Ti4 Ti 0.115 0.151 0.654 1
Ti5 Ti 0.116 0.403 0.905 1
Ti6 Ti 0.125 0.663 0.157 1
Ti7 Ti 0.131 0.897 0.396 1
Ti8 Ti 0.502 0.499 0.001 1
Ti9 Ti 0.503 0.247 0.749 1
Ti10 Ti 0.504 0.000 0.501 1
Ti11 Ti 0.608 0.419 0.397 1
Ti12 Ti 0.610 0.148 0.159 1
Ti13 Ti 0.612 0.893 0.919 1
Ti14 Ti 0.617 0.652 0.647 1
Ti15 Ti 0.998 0.499 0.500 1
O1 O 0.133 0.699 0.361 1
O2 O 0.150 0.106 0.454 1
O3 O 0.153 0.202 0.857 1
O4 O 0.158 0.609 0.953 1
O5 O 0.299 0.861 0.035 1
O6 O 0.306 0.294 0.107 1
O7 O 0.309 0.355 0.547 1
O8 O 0.309 0.794 0.608 1
O9 O 0.451 0.967 0.297 1
O10 O 0.459 0.534 0.199 1
O11 O 0.465 0.041 0.706 1
O12 O 0.465 0.450 0.797 1
O13 O 0.647 0.592 0.468 1
O14 O 0.649 0.107 0.955 1
O15 O 0.651 0.204 0.360 1
O16 O 0.654 0.700 0.858 1
O17 O 0.809 0.292 0.607 1
O18 O 0.809 0.358 0.047 1
O19 O 0.810 0.858 0.544 1
O20 O 0.834 0.793 0.094 1
O21 O 0.957 0.954 0.794 1
O22 O 0.962 0.047 0.202 1
O23 O 0.965 0.546 0.702 1
O24 O 0.967 0.455 0.295 1
```

Peak list (6 most intense, 2θ from 10° to 90°, in order of rising 2θ)
2θ = 23.84°, rel. 69.8, (1 1 -1); 2θ = 32.62°, rel. 89.5, (1 3 1); 2θ = 35.26°, rel. 74.7, (0 2 -2); 2θ = 40.36°, rel. 33.1, (2 -2 0); 2θ = 53.19°, rel. 100.0, (3 -1 1); 2θ = 63.32°, rel. 29.8, (1 1 -5)



# TiO2
Theoretical XRD peak list, a wavelength of 1.5418 Å. Input: DFT lattice parameters and positions (GGA-PBE).
Neutral-atom scattering factors, no anomalous dispersion.

```
data_TiO2
_chemical_formula_sum 'Ti8 O16'
_cell_length_a 5.947
_cell_length_b 5.947
_cell_length_c 9.068
_cell_angle_alpha 90.00
_cell_angle_beta 90.00
_cell_angle_gamma 120.00
_space_group_name_H-M_alt 'P 1'
_space_group_IT_number 1
_space_group_name_Hall 'P 1'
loop_
_atom_site_label
_atom_site_type_symbol
_atom_site_fract_x
_atom_site_fract_y
_atom_site_fract_z
_atom_site_occupancy
Ti1 Ti 0.168 0.336 0.000 1
Ti2 Ti 0.168 0.832 0.000 1
Ti3 Ti 0.333 0.667 0.279 1
Ti4 Ti 0.336 0.168 0.500 1
Ti5 Ti 0.664 0.832 0.000 1
Ti6 Ti 0.667 0.333 0.779 1
Ti7 Ti 0.832 0.168 0.500 1
Ti8 Ti 0.832 0.664 0.500 1
O1 O 0.000 0.000 0.102 1
O2 O 0.000 0.000 0.602 1
O3 O 0.048 0.524 0.127 1
O4 O 0.171 0.342 0.392 1
O5 O 0.171 0.829 0.392 1
O6 O 0.333 0.667 0.888 1
O7 O 0.342 0.171 0.892 1
O8 O 0.476 0.524 0.127 1
O9 O 0.476 0.952 0.127 1
O10 O 0.524 0.048 0.627 1
O11 O 0.524 0.476 0.627 1
O12 O 0.658 0.829 0.392 1
O13 O 0.667 0.333 0.388 1
>>>
As much as your social and work routine is irregular try your best to keep meals, such as breakfast and lunch, as consistent as possible. Having some form of routine in place will help you not to over indulge as a result of feeling hungry or snacking on high sugar based snacks causing blood sugar level spikes.
Before heading out on social evenings it may be an idea to have eaten sensibly prior to this so you don’t have that hungry or bloated feeling. Whenever we are hungry our brain sends all sorts of signals which affect our decision making process, which will likely end with choosing options that we normally wouldn’t tend to have. Try to avoid skipping meals to create a bigger calorie deficit as this will only lead to over consumption as a result of large hunger cravings!
7) Be a wise buffet eater
No doubt you will be faced with a Christmas spread or buffet at some point. Just because every possible selection is there, doesn’t mean you have to have something of everything. It can be wise to choose the foods and treats you enjoy rather than feeling you’re going to miss out if you don’t have 3 pork pies which you haven’t had since last Christmas!
You’re probably reading this blog thinking, well Christmas isn’t going to be much fun at the Melford household! My point of this blog isn’t to stop you enjoying yourself over Christmas.
However is it wise to let the flood gates open?
Enjoy the Christmas break and have a plan in place to ensure you have all bases covered.
1) https://www.bbc.co.uk/news/amp/health-46481137
2) Winter Weight Watch Study: Efficacy of a brief public health intervention to prevent weight gain during the Christmas holiday period –Mrs Frances Mason